There is an inherent logic in the structure and nature of organisms that have grown on this planet. Any architecture, any urban design, and any social order that violates that structure and nature is destructive of itself and of us. Any architecture, urban design, or social order that is based upon organic principles is valid and will prove its own validity.
In any event, I have not seen a book on architecture and urban design, recently, that has bothered me as much as this one. If that is an improper foreword, so be it.
Miniaturize or die has been the key rule for incipient life.
(Here the piece breaks off for data records)
<<<
69
Properties=species:S:1:pos:R:3:forces:R:3:nbo_charge:R:1 method="wB97M-V/def2-TZVPD" e_tot_ha=-1294.44051 de_lowest_kcal_mol=0.0 gap_ev=4.40 lumo_energy_ev=-1.8 homo_energy_ev=-6.16
H -2.894 -2.349 0.724 -0.3 -0.1 0.0 0.175
O 2.742 0.810 2.180 0.5 0.4 -0.6 -0.554
C 0.543 0.190 2.773 0.5 2.4 -0.6 -0.357
H -3.329 -0.730 3.286 0.0 -0.1 -0.3 0.230
C -2.120 2.453 1.733 -0.2 0.2 0.0 -0.375
H -1.159 -2.213 -3.148 0.1 -0.2 -0.2 0.227
C 1.792 -1.903 0.846 -0.3 -0.4 -2.4 0.041
C 1.090 -2.864 0.104 0.0 -0.2 0.9 -0.360
H 1.194 -3.921 0.404 0.5 0.5 -0.7 0.226
H 5.221 0.204 2.030 -0.2 0.3 -0.1 0.217
H -2.438 3.508 1.733 0.2 -0.2 -0.1 0.195
C -0.331 -2.902 -3.342 -0.3 0.5 -0.3 -0.407
H -0.894 -1.211 1.790 -0.2 -0.3 0.0 0.232
H -4.145 0.226 0.574 0.3 -0.1 0.0 0.193
H 2.207 -0.767 3.668 -0.2 -0.1 0.1 0.216
H 2.564 -3.895 2.505 0.4 0.1 0.1 0.222
C 4.254 -1.743 0.473 -1.0 0.2 -0.2 -0.217
H -0.681 -3.761 -3.914 -0.1 0.3 0.0 0.216
H 6.744 -3.843 1.452 -0.2 0.1 0.0 0.219
H -4.244 2.146 1.665 0.2 -0.1 0.2 0.192
C 0.363 -2.550 -1.063 0.0 0.3 0.5 0.209
H -1.365 2.849 3.693 0.2 -0.2 -0.2 0.213
H -0.795 -2.942 1.549 -0.3 0.0 0.2 0.167
H 0.282 -5.280 -1.135 0.0 0.2 -0.2 0.226
C 5.522 -2.307 0.535 -0.1 -0.6 0.5 -0.206
O 1.076 1.526 0.830 0.4 0.1 0.3 -0.699
H 1.730 -4.879 -2.090 -0.3 0.3 0.0 0.224
C 4.696 -3.950 2.129 0.1 0.0 -0.1 -0.212
O -1.358 0.471 4.139 0.5 0.2 -0.2 -0.695
H 5.189 1.862 2.697 0.1 -0.2 -0.1 0.215
H -1.222 -3.384 3.908 0.1 0.2 -0.1 0.178
H -1.720 2.246 0.730 -0.1 0.0 0.2 0.202
H 4.037 -0.935 -0.239 0.2 -0.3 0.4 0.220
H 0.200 -5.252 -2.914 0.2 -0.1 0.3 0.218
C -3.364 1.591 2.025 0.0 0.4 -0.2 -0.412
H 1.100 -2.748 3.040 -0.1 -0.1 -0.1 0.151
C 0.574 -2.173 3.809 -0.2 -0.1 0.3 -0.357
H 1.525 -0.861 0.732 0.1 0.0 -0.3 0.252
C 0.636 -4.767 -2.038 0.1 -0.6 0.0 -0.424
C -0.620 0.936 3.243 -0.8 -0.6 -0.1 0.525
H -0.040 -1.533 -1.184 0.4 -0.4 -0.1 0.238
H 0.430 -2.369 -3.928 -0.1 -0.2 0.2 0.216
H 5.752 1.577 1.038 0.0 0.0 0.1 0.205
H -2.405 0.108 0.766 0.0 0.0 0.2 0.190
C 5.028 1.259 1.795 0.3 0.2 0.1 -0.629
C -3.586 -0.984 2.248 -0.1 -0.2 0.0 -0.407
C -3.343 0.223 1.328 -0.3 -0.1 0.0 -0.400
H -0.113 2.850 2.408 -0.3 0.2 0.0 0.216
H 3.360 2.553 1.292 0.2 -0.3 -0.3 0.195
C 5.750 -3.407 1.385 -0.2 0.4 -0.2 -0.201
H 4.857 -4.813 2.786 0.0 0.4 -0.3 0.223
H -4.659 -1.219 2.229 0.1 0.0 0.1 0.191
C -2.810 -2.231 1.812 0.3 0.0 0.2 -0.383
N 0.193 -3.385 -2.077 0.1 0.4 0.7 -0.327
H -3.464 1.483 3.114 0.0 -0.1 -0.3 0.224
C 3.166 -2.285 1.199 1.1 -1.3 1.0 -0.021
C 3.414 -3.423 2.011 -0.1 0.6 -0.5 -0.210
C 3.631 1.489 1.278 -0.2 -0.2 0.3 -0.067
H -1.486 -1.660 4.243 0.2 -0.2 -0.2 0.253
C -1.009 2.344 2.779 0.6 0.0 0.0 -0.484
H -3.237 -3.124 2.286 0.0 0.0 -0.1 0.193
H 0.899 -0.285 4.770 0.2 -0.3 -0.1 0.210
H 0.848 -2.621 4.772 0.1 0.0 -0.1 0.201
C -0.935 -2.361 3.603 -0.2 -0.1 0.0 -0.414
H 3.495 1.088 0.263 0.0 0.3 0.2 0.168
C -1.316 -2.170 2.134 0.0 0.1 -0.1 -0.421
C 1.119 -0.738 3.789 0.0 0.0 0.6 -0.449
C 1.429 0.947 1.858 -1.6 -1.3 0.8 0.737
>>>
It is the humanization of the earth, and as such it demands a global coherence.
**These records of molecules were left in the entry by mistake:**
{"formula": "H26O13", "method": "the ωB97M-V functional and the def2-TZVPD basis", "symbols": ["H", "H", "H", "H", "H", "H", "H", "H", "H", "H", "H", "H", "H", "H", "H", "H", "H", "H", "H", "H", "H", "H", "H", "H", "H", "H", "O", "O", "O", "O", "O", "O", "O", "O", "O", "O", "O", "O", "O"], "positions_angstrom": [[-0.3366, 0.7770, -0.5748], [-0.0281, -0.5473, -1.2538], [1.0518, -3.5748, -1.6406], [1.3630, -2.0945, -1.4919], [3.4857, -0.3863, 1.8027], [4.8092, 0.0996, 2.3705], [4.6704, 1.2431, -0.5818], [4.1433, -0.1755, -0.7226], [-0.7121, 3.8916, 0.5456], [-0.8275, 4.9899, 1.5899], [-0.7389, -0.7864, 2.2192], [-1.3332, -0.9180, 3.6119], [-3.9597, -4.7349, -0.7082], [-2.7231, -3.8579, -0.5984], [-5.4074, -1.0459, -1.1598], [-4.2035, -1.7718, -0.5820], [2.7921, -2.4775, 0.1735], [3.0493, -2.6302, 1.6636], [-2.9709, 0.2070, 1.4697], [-2.8820, -1.0779, 0.6628], [1.3338, 0.7154, 0.3394], [2.7639, 0.4923, -0.1241], [1.9719, 2.5432, -3.6902], [2.7921, 2.4126, -2.4173], [-4.4570, 4.6187, -0.5162], [-3.0334, 4.1281, -0.3099], [-0.2579, -0.1673, -0.3984], [1.7476, -2.9687, -1.3619], [4.3047, -0.7037, 2.1996], [4.7344, 0.4605, -1.1409], [-0.4130, 4.7862, 0.7439], [-1.5514, -0.6376, 2.7159], [-3.6659, -3.8211, -0.7955], [-4.9688, -1.9042, -1.1528], [2.8928, -1.9653, 0.9837], [-3.5057, -0.3995, 0.9452], [1.8852, 0.0974, -0.1535], [1.8833, 2.4708, -2.7332], [-3.6984, 4.7127, 0.0708]], "gap_ev": 9.925, "total_energy_ev": -27037.140, "homo_ev": -10.3, "total_charge": 0, "relative_energy_kcal_mol": 110.9, "fmax_ev_per_a": 2.7}

~~~~~

(1)
Formula: C46H52BN7O3P2S2SnTe
Source: the Open Molecules 2025 dataset
Level of theory: wB97M-V/def2-TZVPD

Results
* energy above the lowest of the compared OMol25 structures with the same formula, charge and spin: 0.0 kJ/mol
* total energy: -4378.9683 Eh
* LUMO: -5.01 eV
* gap between HOMO and LUMO: 0.25167 Eh
* multiplicity: 1
* net charge: +2

Each line ends with the Mulliken charge.
Geometry (Å):
Sn (0.382, 2.147, -1.106)  1.515
C (5.258, 0.008, -3.089)  -0.919
N (4.470, 0.686, -2.059)  0.217
C (5.127, 0.939, -0.780)  -0.986
C (3.189, 0.981, -2.225)  0.715
O (2.528, 1.535, -1.320)  -0.860
C (2.566, 0.641, -3.569)  -0.977
O (1.172, 0.811, -3.483)  -0.351
C (0.554, 1.351, -4.631)  -1.630
C (0.204, 2.817, -4.345)  1.057
O (0.421, 3.260, -3.203)  -0.919
N (-0.311, 3.565, -5.309)  0.161
C (-0.637, 3.069, -6.642)  -1.023
C (-0.667, 4.958, -5.046)  -0.991
H (6.308, 0.215, -2.902)  0.312
H (5.021, 0.384, -4.081)  0.386
H (5.101, -1.070, -3.063)  0.288
H (6.112, 1.360, -0.968)  0.475
H (5.241, 0.008, -0.222)  0.338
H (4.538, 1.644, -0.202)  0.199
H (2.810, -0.389, -3.843)  0.485
H (3.006, 1.309, -4.318)  0.711
H (-0.353, 0.779, -4.839)  0.660
H (1.197, 1.275, -5.510)  0.611
H (-0.238, 2.076, -6.813)  0.391
H (-0.216, 3.740, -7.389)  0.347
H (-1.719, 3.037, -6.775)  0.334
H (-0.220, 5.280, -4.112)  0.283
H (-1.752, 5.060, -4.987)  0.337
H (-0.301, 5.575, -5.865)  0.328
C (-2.759, 4.610, -0.608)  -0.811
N (-2.100, 4.489, 0.686)  0.367
The care of the citizen is the sap of the city. But one can care only for that which one loves. Lovableness is the key to a living city. A lovely city is not an accident, as a lovely person is not an accident.
It is most reasonable to begin somewhere with an island of functional sanity and let its pattern spread according to its own merits, neither coerced nor coercing.
Man is truly the earth itself if he is anything.
This will be the fundamental distinction between the city and the anthill, the beehive, the termite colony, and so on: not just brains by the score but also minds by the score.
If there is any question about the inevitability of a society of man that will carry the individual to his personal fulfillment, there is no question of the inevitability of a superorganism of a thousand minds that will ecologically cradle such persons.
The phenomenon of the city—a congruent, humanized micro-universe sustained by the neonatural layer (the physical structure of the city)—is an ultracomplex organism whose centralized brain is the instrument that works for the satisfaction of the thousands of epidermal individual minds bound together by forces of sociality and culture.
Joy is then the burst of liveliness that comes with the fitness and coherence of a process that is developing under one’s eyes; it is the opposite of senselessness and squandering.
Attached: quantum chemistry results:
____________
Density functional theory data (the ωB97M-V functional and the def2-TZVPD basis) for C28H24BrNO7Pt as an isolated structure.

```
62
Properties=species:S:1:pos:R:3:mulliken_charge:R:1
C 4.26 -1.36 -0.56 -0.605
H -4.21 1.22 0.44 0.295
O -1.75 0.31 0.46 -0.924
C 0.33 2.78 0.96 -0.341
H 4.74 -1.90 -1.37 0.500
H 5.03 3.37 -1.16 0.430
C 0.99 7.01 1.03 -0.440
C 3.09 2.71 -0.53 0.030
C 4.35 -0.19 1.52 -0.739
C 5.00 -0.86 0.49 1.015
Br 1.88 -1.89 -1.96 -0.071
C 0.58 4.24 0.95 0.317
C -4.01 -1.32 2.04 0.317
C 0.77 4.97 -0.23 0.035
C 0.83 1.86 0.12 -0.929
O -3.41 -3.04 0.39 -0.510
O 6.33 -1.05 0.47 -0.544
H 3.23 3.03 0.50 0.441
C 2.90 -1.17 -0.56 0.306
H 0.77 6.82 3.15 0.379
H -1.10 -0.30 -2.10 0.039
C 2.99 -0.03 1.43 -0.262
C -2.49 0.64 -0.74 1.786
C 0.98 6.34 -0.19 -0.836
Pt 0.27 -0.02 0.35 0.857
H 4.70 2.68 -3.51 0.410
H -0.36 2.45 1.72 0.393
C 0.56 4.93 2.16 -0.413
H -4.55 0.95 -1.27 0.552
H 1.15 8.08 1.06 0.386
C 2.71 1.93 -3.16 -0.912
H -1.10 2.15 -1.48 0.250
H -2.31 2.76 -0.35 0.336
H -2.78 2.35 -2.01 0.609
N 2.26 -0.50 0.41 -0.176
O -0.66 -2.07 0.75 -0.754
H 0.75 4.46 -1.18 0.408
C -2.14 2.06 -1.17 -1.650
O -5.19 -1.45 2.14 -0.491
H 6.75 -0.66 1.25 0.302
C 0.78 6.30 2.20 -0.642
H -2.74 -0.11 -2.75 0.525
H -2.39 -1.37 -1.56 0.248
C 1.88 2.12 -0.90 0.617
H 2.43 0.50 2.19 0.426
O -3.50 0.46 3.64 -0.528
H 0.38 4.39 3.08 0.416
H -4.31 -0.43 -0.23 0.394
C -3.98 0.59 -0.42 -1.901
H 4.88 0.21 2.37 0.354
O -0.71 -0.45 3.26 -0.613
H 0.79 1.25 -2.52 0.154
C 1.71 1.73 -2.22 0.171
C 4.10 2.91 -1.46 -0.956
C -2.16 -0.35 -1.86 -1.422
C -1.64 -1.67 1.35 1.138
C -1.65 -0.74 2.58 0.857
C 3.91 2.52 -2.78 -0.546
C -3.11 -0.37 2.87 0.411
H 1.13 6.88 -1.11 0.398
H 2.56 1.63 -4.19 0.448
C -3.08 -2.15 1.12 0.253
```

Output
Gap between HOMO and LUMO = 5.42 eV
E_HOMO = -7.8 eV
2S+1 = 1
LUMO energy = -2.426 eV
Maximum force = 0.18 eV/A
Total charge = 0

~~~~~

No. 1
Density functional theory data (wB97M-V/def2-TZVPD) for a cluster of 2 separate species, C23H40BClFN2O5 in total in a non-equilibrium geometry.

The geometry in XYZ format:
```
73
C23H40BClFN2O5, DFT wB97M-V/def2-TZVPD
Cl -1.630 -0.160 5.331
F -3.697 -0.844 -2.812
O -1.932 -3.871 -3.828
O -1.983 -5.044 2.828
O -0.113 1.682 -2.450
O -0.479 2.249 4.826
O -1.696 -5.118 -2.064
N -2.119 1.053 2.049
N -1.725 -4.938 -3.271
C -0.191 2.711 1.301
C -2.964 -0.140 1.913
C 3.117 3.879 0.539
C 3.611 3.019 -0.720
C -3.170 -4.658 2.053
C -0.512 3.960 0.331
C 1.580 -0.083 -1.243
C 5.344 -0.240 0.960
C 0.717 4.428 -0.595
C 1.994 4.978 0.211
C -2.844 -1.117 0.725
C -1.485 -6.125 -4.132
C -3.715 -2.465 0.552
C -0.929 0.499 -0.195
C -2.287 -1.041 -3.041
C -1.107 1.424 1.062
C -1.607 -1.723 -1.721
C -2.381 1.867 3.296
C 4.870 2.050 -0.400
C -1.809 -0.800 -0.404
C -2.670 -3.690 0.867
C -1.390 1.443 4.494
C 4.756 1.275 1.008
B 0.179 0.778 -1.378
H 0.318 5.322 -1.217
H 0.895 2.376 1.097
H -0.754 4.859 1.022
H -0.500 -1.980 -1.906
H 6.488 -0.266 0.894
H 3.883 3.711 -1.609
H 1.701 5.553 1.162
H -1.762 -0.070 -3.347
H 5.006 1.257 -1.219
____________
Back to the article:
As the universe is structure, the purpose of life is to take hold of it and help it to find its meaning, its form. Man is the eyes and the ears of a blind and dumb universe.
The real (universe in its totality) is a “scientific” system gazing upon itself by way of man’s intellect (reflection.)
So it is not metaphorically that we have the right to compare—as we have so often done—a city to a symphony or a poem; they are objects of a similar nature. More precious perhaps, the city lies at the confluence of nature and artifice. A congregation of animals that enclose their biological history within its limits and at the same time shape it with all their intentions as passers-by, by its genesis and by its form, the city simultaneously falls under biological procreation, organic evolution and of aesthetic creation. It is at once an object of nature and a subject of culture; individual and group; lived and dreamed: the human thing par excellence.
Arcologies are architectural organisms.